1 peter 5:12–14

“By Silvanus … I have written briefly to you, exhorting and declaring that this is the true grace of God. Stand firm in it. … Peace to all of you who are in Christ” (1 Peter 5:12–14).

Next to the text, the page also holds materials data.
+++
Starting from the GGA-PBE geometry in Alexandria, the PXRD pattern of Zr2Al6Pd was simulated for copper Kα.
Neutral-atom scattering factors, no anomalous dispersion.

Peak list (10 most intense, 10 to 80 degrees two-theta, by intensity)
| 2theta | intensity |
| --- | --- |
| 35.5 | 100 |
| 36.9 | 71 |
| 40.1 | 70 |
| 31.5 | 62 |
| 15.8 | 51 |
| 59.7 | 26 |
| 24.1 | 26 |
| 52.3 | 25 |
| 71.6 | 24 |
| 65.8 | 24 |

Structure:
```
Zr2Al6Pd
1.0
5.674 0.000 0.000
-2.837 4.914 0.000
0.000 0.000 5.612
Zr Al Pd
2 6 1
direct
0.333 0.667 0.131 Zr
0.667 0.333 0.869 Zr
0.177 0.355 0.681 Al
0.177 0.823 0.681 Al
0.355 0.177 0.319 Al
0.645 0.823 0.681 Al
0.823 0.177 0.319 Al
0.823 0.645 0.319 Al
0.000 0.000 0.000 Pd
```

----------

Theoretical X-ray diffraction stick pattern
Compound: Tl2Mo3PCO12
Radiation: copper Kα
Structure: DFT lattice parameters and positions (GGA+U)

Lattice parameters (Å, degrees): 7.3474 7.3597 8.4648 85.44 64.74 61.90
Atoms (fractional coordinates):
Tl 0.0000 0.0000 0.0000
Tl 0.0577 0.5322 0.3561
Mo 0.4348 0.5686 0.5428
Mo 0.4867 0.0418 0.5096
Mo 0.9509 0.0713 0.5224
P 0.4561 0.9787 0.1033
C 0.8649 0.5375 0.7699
O 0.1717 0.1283 0.5273
O 0.1998 0.7502 0.4856
O 0.2114 0.0114 0.2116
O 0.3034 0.6153 0.7724
O 0.3907 0.0616 0.7355
O 0.4291 0.3361 0.4675
O 0.5673 0.0023 0.2130
O 0.5863 0.7308 0.4631
O 0.7690 0.3407 0.4943
O 0.8018 0.0745 0.7462
O 0.8241 0.9537 0.4238
O 0.8345 0.4792 0.9035

The 8 most intense peaks (15 to 90 degrees two-theta), by intensity:
| index | 2θ (°) | Rel. int. |
| --- | --- | --- |
| 0 2 0 | 27.8 | 100.0 |
| 0 0 2 | 23.5 | 70.3 |
| 2 2 2 | 31.7 | 58.4 |
| 2 0 2 | 29.3 | 44.9 |
| 1 1 -1 | 21.6 | 44.7 |
| 2 2 0 | 29.8 | 42.2 |
| 1 0 0 | 15.2 | 39.6 |
| 1 1 1 | 15.7 | 35.9 |
+++

Today we will examine the concluding remarks found in the final three verses of 1 Peter. As is customary with other ancient letters, Peter’s conclusion provides insight into the circumstances surrounding the letter’s composition and includes a standard greeting that has been adapted to suit a Christian audience.

In 5:13 we find greetings to the audience from “she who is at Babylon.” This is most likely a reference to the church at Rome and continues the theme that faithful Christians are the true Israel of God. Babylon was one of the most recognizable enemies of ancient Israel, and, given that the early Christian church was scattered in exile (1:17) throughout the Roman empire just as ancient Israel endured exile in Babylon, it makes perfect sense that Peter would use “Babylon” to refer to Rome. Furthermore, by the time Peter wrote, it was not uncommon for Romans to compare their empire to the mighty Babylonian empire that ruled centuries before. “She who is at Rome” would thus refer to the true Israelites living in that city, namely, the church, which served Israel’s true king — the Lord Jesus Christ.

Crystal structures, kept here for reference:
........
Record 1
Theoretical powder diffractogram
Compound: Nd4TlSn
Radiation: Cu Kα (λ = 1.5418 Å)
Structure: the PBE geometry in Alexandria
No peak broadening, texture or thermal motion is included.

Principal peaks in the range 2θ = 15–90°, most intense first:
Position (°2θ), d_spacing, I (rel.), h k l
32.21, 2.779, 100.0, 1 7 0
33.66, 2.663, 61.0, 1 3 2
31.21, 2.866, 59.8, 2 0 0
15.96, 5.552, 40.5, 1 1 0
28.29, 3.154, 34.0, 0 2 2
42.62, 2.122, 31.4, 2 2 2

Cell and atoms:
a b c (Å): 5.732 22.239 6.579
angles (deg): 90.00 90.00 90.00
Space group Cmcm (No. 63)
Symmetry-distinct sites (fractional):
Nd 0.000 0.065 0.250 (multiplicity 4)
Nd 0.000 0.211 0.005 (multiplicity 8)
Nd 0.000 0.374 0.250 (multiplicity 4)
Tl 0.000 0.075 0.750 (multiplicity 4)
Sn 0.000 0.344 0.750 (multiplicity 4)

***

Record 2
Theoretical powder diffractogram
Compound: Nd4TlSn
Radiation: Cu Kα (λ = 1.5418 Å)
Structure: the PBE geometry in Alexandria
No peak broadening, texture or thermal motion is included.

Principal peaks in the range 2θ = 15–90°, most intense first:
Position (°2θ), d_spacing, I (rel.), h k l
33.60, 2.667, 100.0, 2 0 0
60.09, 1.540, 38.0, 3 1 2
20.39, 4.355, 29.2, 1 0 1
48.26, 1.886, 18.2, 2 2 0
80.54, 1.193, 16.6, 4 2 0
39.63, 2.274, 16.4, 2 1 1

Cell and atoms:
a b c (Å): 5.332 5.332 7.548
angles (deg): 90.00 90.00 90.00
Space group P4/mmm (No. 123)
Symmetry-distinct sites (fractional):
Nd 0.000 0.500 0.249 (multiplicity 4)
Tl 0.000 0.000 0.000 (multiplicity 1)
Sn 0.500 0.500 0.500 (multiplicity 1)

***

Record 3
Theoretical powder diffractogram
Compound: Nd12TmSn3
Radiation: Cu Kα (λ = 1.5418 Å)
Structure: the PBE geometry in Alexandria
No peak broadening, texture or thermal motion is included.

Principal peaks in the range 2θ = 15–90°, most intense first:
Position (°2θ), d_spacing, I (rel.), h k l
30.96, 2.889, 100.0, 1 1 4
36.08, 2.489, 33.6, 2 0 0
61.71, 1.503, 28.3, 3 1 4
51.54, 1.773, 22.9, 2 0 8
35.53, 2.527, 16.5, 0 0 8
60.98, 1.519, 12.8, 1 1 12

Cell and atoms:
a b c (Å): 4.979 4.979 20.213
angles (deg): 90.00 90.00 90.00
Space group P4/mmm (No. 123)
Symmetry-distinct sites (fractional):
Nd 0.000 0.000 0.000 (multiplicity 1)
Nd 0.000 0.000 0.244 (multiplicity 2)
Nd 0.000 0.000 0.500 (multiplicity 1)
Nd 0.000 0.500 0.122 (multiplicity 4)
Nd 0.000 0.500 0.368 (multiplicity 4)
Tm 0.500 0.500 0.500 (multiplicity 1)
Sn 0.500 0.500 0.000 (multiplicity 1)
Sn 0.500 0.500 0.245 (multiplicity 2)

***

Record 4
Theoretical powder diffractogram
Compound: NdTm2Sn
Radiation: Cu Kα (λ = 1.5418 Å)
Structure: the PBE geometry in Alexandria
No peak broadening, texture or thermal motion is included.

Principal peaks in the range 2θ = 15–90°, most intense first:
Position (°2θ), d_spacing, I (rel.), h k l
33.75, 2.656, 100.0, 1 1 2
29.58, 3.020, 84.0, 1 1 -2
32.10, 2.789, 32.7, 0 0 4
38.09, 2.363, 30.3, 0 2 0
38.96, 2.312, 29.5, 2 0 -1
55.62, 1.652, 20.4, 2 2 -1

Cell and atoms:
a b c (Å): 4.624 4.725 11.388
angles (deg): 90.00 101.64 90.00
Space group P2_1/m (No. 11)
........

Verse 13 also includes greetings from Mark who is most likely the same John Mark mentioned elsewhere in the New Testament (Acts 12:25) and who early church tradition names as the author of the second book in the New Testament canon. That Peter calls Mark his son (1 Peter 5:13) probably means he was instrumental in Mark’s conversion and lends credence to the idea that Mark’s gospel finds its source in Peter’s preaching.

Silvanus is a variation of the name Silas, so the Silvanus mentioned in verse 12 is likely the Silas who traveled with Paul after his separation from Barnabas (Acts 15:40). Most commentators argue that he served as an amanuensis (secretary) who helped Peter compose this epistle. This same verse tells us that Silas helped Peter write this letter so that we would know the true grace of God and thus stand firm in the face of opposition. Having instructed his audience in these things, Peter closes his letter by offering peace to those who are in Christ (1 Peter 5:14).

-- Someone pasted data records at this point --
The following is a simulated powder diffractogram of MnSi2O6. It was derived from DFT lattice parameters and positions (GGA+U), using copper Kα.
Intensities are scaled so that the largest is 100.

Largest 10 diffraction maxima, by angle, 10° ≤ 2θ ≤ 80°:
2θ = 14.34°, rel. 65; 2θ = 19.98°, rel. 72; 2θ = 20.76°, rel. 54; 2θ = 25.50°, rel. 38; 2θ = 30.13°, rel. 100; 2θ = 31.87°, rel. 72; 2θ = 35.94°, rel. 53; 2θ = 37.78°, rel. 23; 2θ = 42.19°, rel. 26; 2θ = 47.92°, rel. 22

Structure:
```
data_MnSi2O6
_cell_length_a 6.3988
_cell_length_b 6.3988
_cell_length_c 5.3302
_cell_angle_alpha 105.04
_cell_angle_beta 105.04
_cell_angle_gamma 83.94
_space_group_name_H-M_alt 'P 1'
_space_group_IT_number 1
_space_group_name_Hall 'P 1'
loop_
_atom_site_label
_atom_site_fract_x
_atom_site_fract_y
_atom_site_fract_z
_atom_site_occupancy
Mn1 0.0933 0.9067 0.7500 1
Mn2 0.9067 0.0933 0.2500 1
Si1 0.2122 0.3911 0.7497 1
Si2 0.3911 0.2122 0.2497 1
Si3 0.6089 0.7878 0.7503 1
Si4 0.7878 0.6089 0.2503 1
O1 0.0340 0.1914 0.6367 1
O2 0.0894 0.6282 0.7864 1
O3 0.1914 0.0340 0.1367 1
O4 0.3546 0.3631 0.0392 1
O5 0.3631 0.3546 0.5392 1
O6 0.3718 0.9106 0.7136 1
O7 0.6282 0.0894 0.2864 1
O8 0.6369 0.6454 0.4608 1
O9 0.6454 0.6369 0.9608 1
O10 0.8086 0.9660 0.8633 1
O11 0.9106 0.3718 0.2136 1
O12 0.9660 0.8086 0.3633 1
```


The following is a computed powder diffraction line list of Na2TaMoO6. It was derived from DFT lattice parameters and positions (GGA+U), using a wavelength of 1.5418 Å.
Intensities are scaled so that the largest is 100.

Most intense lines, 2θ = 5–70°, low angle first:
d (Å), two_theta, I_rel, h k l
5.610, 15.80, 13, 1 0 0
3.967, 22.41, 99, 1 1 0
3.239, 27.54, 7, 1 0 1
2.805, 31.91, 100, 2 0 0
2.290, 39.34, 8, 2 0 1
2.120, 42.64, 5, 2 1 1
1.983, 45.75, 37, 2 2 0
1.774, 51.52, 40, 3 1 0
1.619, 56.86, 39, 3 1 1
1.402, 66.70, 22, 4 0 0

```
data_Na2TaMoO6
_chemical_formula_sum 'Na2 Ta1 Mo1 O6'
_symmetry_space_group_name_H-M 'P 4/m m m'
_symmetry_Int_Tables_number 123
_symmetry_space_group_name_Hall '-P 4 2'
_cell_length_a 5.6097
_cell_length_b 5.6097
_cell_length_c 3.9663
_cell_angle_alpha 90.00
_cell_angle_beta 90.00

Coram Deo

Our study of 1 Peter has reminded us to base our lives on true doctrine so that we might stand firm for Jesus. Only as we remind ourselves of such things as our election (1 Peter 1:2–5), the power of the Gospel (vv. 23–25), our status as God’s people (2:4–10), the substitutionary atonement (vv. 24–25), and our union with Christ (3:18–22) will we be convinced that our confession is worth dying for. Spend some time today meditating on these great truths.

For Further Study